_Input_
'''
P:
26
Lattice="-2.364 1.803 4.097 -7.081 -4.387 -2.155 5.119 -4.940 5.127" Properties=species:S:1:pos:R:3 comment="BaCo2As2O8, optimized geometry, DFT PBE+U" total_magnetization_mub_per_cell=0.00 rho_g_cm3=4.93 pbc="T T T"
O -4.585 -3.291 3.982
O 2.018 -5.930 4.847
O -1.386 -2.638 1.340
As -2.153 -5.979 1.389
O -3.483 -0.860 2.573
O 1.317 -2.083 1.677
O -2.941 -4.885 5.730
O -3.280 -7.243 1.295
Co -2.970 -2.885 2.684
O -0.009 -4.206 5.952
Co 0.772 -6.257 3.199
O 2.695 -3.651 6.289
O 0.259 -4.232 3.088
Co -2.734 -3.069 -0.227
O -0.844 -6.662 4.497
As 0.191 -3.348 1.583
O -7.021 -3.872 0.780
O -4.318 -3.317 1.117
Ba 0.000 0.000 0.000
Ba 1.377 -1.568 4.612
As 1.568 -4.916 6.196
O -2.603 -4.965 2.737
O -6.345 -1.593 2.222
Co -1.357 -4.637 4.385
O -1.723 -2.558 4.332
As -5.895 -2.607 0.874

---

Q:
13
Lattice="4.768 0.133 7.087 2.140 4.471 7.173 0.030 0.191 8.621" Properties=species:S:1:pos:R:3 comment="BaCo2As2O8, optimized geometry, DFT PBE+U" spacegroup="No. 1" total_magnetization_mub_per_cell=6.00 rho_g_cm3=5.01 pbc="T T T"
O 3.809 3.553 9.777
Co 5.734 3.979 19.041
O 2.890 4.087 12.584
O 1.558 2.083 10.798
Ba 4.798 0.329 15.709
As 2.988 2.015 9.801
O 4.048 0.704 10.298
O 3.137 1.236 13.101
O 4.458 3.110 14.665
O 5.375 2.698 12.079
Co 1.200 0.825 3.848
O 2.479 1.695 8.213
As 3.950 2.779 13.081

---

Most stable of them? P.

---

P:
56
Lattice="1.477 -1.098 -9.839 9.191 -3.479 1.903 2.737 -8.821 -3.587" Properties=species:S:1:pos:R:3 comment="Na5Co2AsC4O16, optimized geometry, DFT PBE+U" spacegroup="No. 15" total_magnetization_mub_per_cell=16.00 rho_g_cm3=2.88 pbc="T T T"
O 4.800 -3.151 -9.125
Na 9.202 -5.477 -0.018
As 10.257 -9.791 -2.289
C 8.519 -8.043 -7.874
O 4.506 -4.134 -3.442
Na 2.262 -3.540 -4.394
O 7.076 -9.279 -10.516
Na 10.003 -6.181 -5.634
O 8.605 -10.248 -2.398
O 7.785 -6.616 -1.739
Na 7.820 -4.845 -8.311
O 5.557 -8.446 -5.719
C 7.728 -3.810 -5.202
O 9.518 -11.343 -6.114
O 6.636 -3.123 -5.295
O 11.486 -12.128 -8.154
Na 9.417 -9.988 -10.403
Co 5.334 -2.289 -3.968
O 10.425 -8.707 -0.948
Na 3.988 -3.411 -1.120
O 9.263 -5.966 -3.309
Co 6.702 -6.699 -5.761
O 4.141 -7.433 -8.214
Na 3.401 -7.218 -5.889
Co 5.964 -6.150 -0.842
O 3.887 -2.056 -5.408
O 8.898 -9.265 -8.080
O 6.769 -10.276 -6.227
O 2.218 -2.185 -9.565
O 8.275 -7.617 -6.677
O 5.619 -6.783 -9.784
O 4.938 -6.191 -2.648
O 4.946 -9.727 -9.938
O 6.329 -4.120 -1.007
C 5.256 -6.842 -8.531
C 8.149 -6.556 -2.991
O 5.974 -6.260 -7.632
Na 4.203 -7.922 -11.504
C 7.181 -3.448 -1.725
As 3.148 -3.608 -9.234
O 10.926 -9.030 -3.676
O 7.847 -4.953 -5.803
C 6.224 -9.951 -9.798
O 1.918 -1.271 -3.369
Na 11.143 -9.859 -7.128
O 2.479 -4.369 -7.847
Na 5.585 -8.554 -3.212
O 8.459 -3.671 -1.584
O 7.431 -7.138 -3.891
C 5.677 -9.589 -6.321
O 8.466 -7.207 -8.874
O 2.980 -4.692 -10.574
O 5.130 -5.782 -4.845
C 4.886 -5.356 -3.649
Co 0.738 -0.549 -4.919
O 11.187 -11.213 -1.957

---

Q:
56
Lattice="0.000 7.065 7.110 7.055 0.000 7.110 7.055 7.065 0.000" Properties=species:S:1:pos:R:3 comment="Na5Co2AsC4O16, optimized geometry, DFT PBE+U" spacegroup="No. 22" total_magnetization_mub_per_cell=11.20 rho_g_cm3=2.87 pbc="T T T"
O 7.328 12.061 8.565
Na 10.096 7.065 7.110
Na 7.568 10.597 10.665
C 12.857 8.310 8.350
O 8.568 9.202 3.780
C 8.309 8.310 12.980
O 4.997 3.801 5.642
O 5.564 7.328 2.033
Na 10.583 7.576 10.665
O 5.543 4.927 3.780
O 9.113 10.328 5.642
O 10.309 5.606 9.196
C 12.857 12.884 12.980
O 9.600 9.615 9.652
Co 5.307 5.315 1.808
O 8.547 7.328 12.187
O 8.095 8.110 7.993
Co 1.748 1.749 1.808
Na 13.598 10.597 10.665
Na 10.583 10.597 7.628
C 4.769 4.766 4.799
O 9.600 11.579 11.678
Co 1.748 5.315 5.302
Co 5.307 1.749 5.302
O 2.063 8.543 6.871
O 11.566 11.579 9.652
As 10.583 10.597 10.665
O 6.016 8.110 6.227
O 8.547 6.801 2.033
Na 4.015 7.065 7.110
C 8.309 12.884 8.350
As 7.055 7.065 7.110
O 5.564 6.801 12.187
Na 10.583 10.597 13.702
O 9.113 3.801 8.578
O 2.063 5.586 7.350
O 11.566 9.615 11.678
C 9.342 9.363 4.799
O 4.997 10.328 8.578
Na 7.055 4.023 7.110
O 6.783 2.068 8.565
Na 7.055 10.106 7.110
'''
_What to do_
Now duplicate the lines further up from the one with "-0.844 -6.662" to the one with "1.748 1.749" unchanged.
_Worked solution_
O -0.844 -6.662 4.497
As 0.191 -3.348 1.583
O -7.021 -3.872 0.780
O -4.318 -3.317 1.117
Ba 0.000 0.000 0.000
Ba 1.377 -1.568 4.612
As 1.568 -4.916 6.196
O -2.603 -4.965 2.737
O -6.345 -1.593 2.222
Co -1.357 -4.637 4.385
O -1.723 -2.558 4.332
As -5.895 -2.607 0.874

---

Q:
13
Lattice="4.768 0.133 7.087 2.140 4.471 7.173 0.030 0.191 8.621" Properties=species:S:1:pos:R:3 comment="BaCo2As2O8, optimized geometry, DFT PBE+U" spacegroup="No. 1" total_magnetization_mub_per_cell=6.00 rho_g_cm3=5.01 pbc="T T T"
O 3.809 3.553 9.777
Co 5.734 3.979 19.041
O 2.890 4.087 12.584
O 1.558 2.083 10.798
Ba 4.798 0.329 15.709
As 2.988 2.015 9.801
O 4.048 0.704 10.298
O 3.137 1.236 13.101
O 4.458 3.110 14.665
O 5.375 2.698 12.079
Co 1.200 0.825 3.848
O 2.479 1.695 8.213
As 3.950 2.779 13.081

---

Most stable of them? P.

---

P:
56
Lattice="1.477 -1.098 -9.839 9.191 -3.479 1.903 2.737 -8.821 -3.587" Properties=species:S:1:pos:R:3 comment="Na5Co2AsC4O16, optimized geometry, DFT PBE+U" spacegroup="No. 15" total_magnetization_mub_per_cell=16.00 rho_g_cm3=2.88 pbc="T T T"
O 4.800 -3.151 -9.125
Na 9.202 -5.477 -0.018
As 10.257 -9.791 -2.289
C 8.519 -8.043 -7.874
O 4.506 -4.134 -3.442
Na 2.262 -3.540 -4.394
O 7.076 -9.279 -10.516
Na 10.003 -6.181 -5.634
O 8.605 -10.248 -2.398
O 7.785 -6.616 -1.739
Na 7.820 -4.845 -8.311
O 5.557 -8.446 -5.719
C 7.728 -3.810 -5.202
O 9.518 -11.343 -6.114
O 6.636 -3.123 -5.295
O 11.486 -12.128 -8.154
Na 9.417 -9.988 -10.403
Co 5.334 -2.289 -3.968
O 10.425 -8.707 -0.948
Na 3.988 -3.411 -1.120
O 9.263 -5.966 -3.309
Co 6.702 -6.699 -5.761
O 4.141 -7.433 -8.214
Na 3.401 -7.218 -5.889
Co 5.964 -6.150 -0.842
O 3.887 -2.056 -5.408
O 8.898 -9.265 -8.080
O 6.769 -10.276 -6.227
O 2.218 -2.185 -9.565
O 8.275 -7.617 -6.677
O 5.619 -6.783 -9.784
O 4.938 -6.191 -2.648
O 4.946 -9.727 -9.938
O 6.329 -4.120 -1.007
C 5.256 -6.842 -8.531
C 8.149 -6.556 -2.991
O 5.974 -6.260 -7.632
Na 4.203 -7.922 -11.504
C 7.181 -3.448 -1.725
As 3.148 -3.608 -9.234
O 10.926 -9.030 -3.676
O 7.847 -4.953 -5.803
C 6.224 -9.951 -9.798
O 1.918 -1.271 -3.369
Na 11.143 -9.859 -7.128
O 2.479 -4.369 -7.847
Na 5.585 -8.554 -3.212
O 8.459 -3.671 -1.584
O 7.431 -7.138 -3.891
C 5.677 -9.589 -6.321
O 8.466 -7.207 -8.874
O 2.980 -4.692 -10.574
O 5.130 -5.782 -4.845
C 4.886 -5.356 -3.649
Co 0.738 -0.549 -4.919
O 11.187 -11.213 -1.957

---

Q:
56
Lattice="0.000 7.065 7.110 7.055 0.000 7.110 7.055 7.065 0.000" Properties=species:S:1:pos:R:3 comment="Na5Co2AsC4O16, optimized geometry, DFT PBE+U" spacegroup="No. 22" total_magnetization_mub_per_cell=11.20 rho_g_cm3=2.87 pbc="T T T"
O 7.328 12.061 8.565
Na 10.096 7.065 7.110
Na 7.568 10.597 10.665
C 12.857 8.310 8.350
O 8.568 9.202 3.780
C 8.309 8.310 12.980
O 4.997 3.801 5.642
O 5.564 7.328 2.033
Na 10.583 7.576 10.665
O 5.543 4.927 3.780
O 9.113 10.328 5.642
O 10.309 5.606 9.196
C 12.857 12.884 12.980
O 9.600 9.615 9.652
Co 5.307 5.315 1.808
O 8.547 7.328 12.187
O 8.095 8.110 7.993
Co 1.748 1.749 1.808